Listing:
A plane-wave DFT calculation with PBE was carried out for an optimized crystal structure of InNiAu.

Calculated values
- DFT formation energy: -0.04 eV/atom
- Crystal system: orthorhombic

Cell: 5.1779 5.1779 5.1779 Å, 143.01 142.88 53.41°
Closest atoms and distances in Å follow each position.
Sites, in units of the cell vectors:
In (0.0000, 0.0000, 0.0000)  4 Ni 2.71, 5 Au 2.89-2.90
Ni (0.6494, 0.6494, 0.0000)  4 In 2.71, 4 Au 2.77
Au (0.3126, 0.3126, 0.0000)  4 Ni 2.77, 5 In 2.89-2.90

A plane-wave DFT calculation with PBE was carried out for an optimized crystal structure of Ba3Sb5Pd6.

Calculated values
- Crystal system: orthorhombic
- Formation energy (no corrections): -0.752 eV/atom

Cell: 4.5721 13.8223 11.2613 Å, 90.00 90.00 90.00°
Closest atoms and distances in Å follow each position.
Sites, in units of the cell vectors:
Ba (0.2500, 0.0919, 0.2439)  7 Pd 3.46-3.76, 6 Sb 3.54-3.59
Ba (0.2500, 0.4081, 0.2439)  7 Pd 3.46-3.76, 6 Sb 3.54-3.59
Ba (0.2500, 0.7500, 0.2498)  6 Sb 3.42-3.53, 10 Pd 3.50-3.75
Ba (0.7500, 0.2500, 0.7502)  6 Sb 3.42-3.53, 10 Pd 3.50-3.75
Ba (0.7500, 0.5919, 0.7561)  7 Pd 3.46-3.76, 6 Sb 3.54-3.59
Ba (0.7500, 0.9081, 0.7561)  7 Pd 3.46-3.76, 6 Sb 3.54-3.59
Sb (0.2500, 0.0793, 0.6353)  5 Pd 2.69-2.80
Sb (0.2500, 0.4207, 0.6353)  5 Pd 2.69-2.80
Sb (0.2500, 0.6171, 0.9941)  5 Pd 2.77-2.94
Sb (0.2500, 0.7500, 0.6058)  4 Pd 2.66-2.71
Sb (0.2500, 0.8829, 0.9941)  5 Pd 2.77-2.94
Sb (0.7500, 0.1171, 0.0059)  5 Pd 2.77-2.94
Sb (0.7500, 0.2500, 0.3942)  4 Pd 2.66-2.71
Sb (0.7500, 0.3829, 0.0059)  5 Pd 2.77-2.94
Sb (0.7500, 0.5793, 0.3647)  5 Pd 2.69-2.80
Sb (0.7500, 0.9207, 0.3647)  5 Pd 2.69-2.80
Pd (0.2500, 0.0645, 0.8833)  4 Sb 2.77-2.80, 1 Pd 2.85
Pd (0.2500, 0.2500, 0.5154)  4 Sb 2.66-2.72
Pd (0.2500, 0.2500, 0.9944)  2 Pd 2.85, 4 Sb 2.94
Pd (0.2500, 0.4355, 0.8833)  4 Sb 2.77-2.80, 1 Pd 2.85
Pd (0.2500, 0.5769, 0.4933)  4 Sb 2.69-2.71
Pd (0.2500, 0.9231, 0.4933)  4 Sb 2.69-2.71
Pd (0.7500, 0.0769, 0.5067)  4 Sb 2.69-2.71
Pd (0.7500, 0.4231, 0.5067)  4 Sb 2.69-2.71
Pd (0.7500, 0.5645, 0.1167)  4 Sb 2.77-2.80, 1 Pd 2.85
Pd (0.7500, 0.7500, 0.0056)  2 Pd 2.85, 4 Sb 2.94
Pd (0.7500, 0.7500, 0.4846)  4 Sb 2.66-2.72
Pd (0.7500, 0.9355, 0.1167)  4 Sb 2.77-2.80, 1 Pd 2.85

* * * * *

1.
## CsHoCuS2 (PBE-GGA)

Data for a geometry-optimized CsHoCuS2 structure.

a b c (Å): 4.7373 8.0594 7.8314
angles (deg): 99.85 90.00 90.00
Last column: nearest neighbours and their distance in Å.
Element x y z (fractional)
Cs (0.1744, 0.5000, 0.7500)  6 S 3.54-3.58
S (0.6801, 0.2074, 0.5351)  1 Cu 2.24
Ho (0.5053, 0.0000, 0.7500)  4 S 2.70
Ho (0.4947, 0.0000, 0.2500)  4 S 2.70
Cu (0.0000, 0.0000, 0.5000)  2 S 2.24
S (0.3199, 0.2074, 0.0351)  1 Cu 2.24
Cu (0.0000, 0.0000, 0.0000)  2 S 2.24
S (0.3199, 0.7926, 0.4649)  1 Cu 2.24
S (0.6801, 0.7926, 0.9649)  1 Cu 2.24
Cs (0.8256, 0.5000, 0.2500)  6 S 3.54-3.58

Output
**Magnetic moment**: 0.000 μB/f.u.
**Electronic total energy**: -4.656 eV/atom
**N(E_F)**: 2.96 states/eV/f.u.
**Crystal system**: monoclinic
**ΔE_f (raw)**: -1.100 eV/atom

=====

2.
## Cs2HoCu2Se4 (PBE-GGA)

Data for a geometry-optimized Cs2HoCu2Se4 structure.

a b c (Å): 4.1075 8.4955 7.9214
angles (deg): 106.84 105.03 90.00
Last column: nearest neighbours and their distance in Å.
Element x y z (fractional)
Cu (0.3203, 0.0161, 0.6406)  4 Se 2.48-2.50
Cs (0.8650, 0.4429, 0.7301)  7 Se 3.57-3.81, 1 Cs 3.95
Se (0.8025, 0.8447, 0.6051)  3 Cu 2.48-2.50
Se (0.1975, 0.1553, 0.3949)  3 Cu 2.48-2.50
Cs (0.1350, 0.5571, 0.2699)  7 Se 3.57-3.81, 1 Cs 3.95
Ho (0.0000, 0.0000, 0.0000)  6 Se 2.86-2.91
Cu (0.6797, 0.9839, 0.3594)  4 Se 2.48-2.50
Se (0.5230, 0.7817, 0.0459)  1 Cu 2.50
Se (0.4770, 0.2183, 0.9541)  1 Cu 2.50

Output
**Magnetic moment**: 0.000 μB/f.u.
**Electronic total energy**: -4.214 eV/atom
**N(E_F)**: 6.16 states/eV/f.u.
**Crystal system**: monoclinic
**ΔE_f (raw)**: -1.057 eV/atom

=====

3.
## CsHo2CuSe4 (PBE-GGA)

Data for a geometry-optimized CsHo2CuSe4 structure.

a b c (Å): 4.1559 7.6024 14.4830
Request:
Could you write out only the lines above with the word "nearest" in them?
Written answer:
Last column: nearest neighbours and their distance in Å.
Last column: nearest neighbours and their distance in Å.